Re: the \"twist\"
According to my records, Zeshua made mention of “the twist†on a total of 12 occasions. Here are those references, not necessarily in the order originally given):
Q. "Will there be a war/civil war in the future?"
S. The Civil War, its not what you think it will be, its not started by anything you might think. No its not Yellowstone erupting.... The Civil War, which is more of a Global Civil War, is the same all over the globe. It is truly a David versus Goliath scenario and this is one thing JT never said, this is a worldwide phenomenon. It just happens to be Focused on the United States. You will feel as though you've just been through a movie in which the last 5 minutes changed the entire first 2 hours of the movie, the Twist, as it were, which Cannot be guessed (we are sure, you have Tried, every single time), and cannot be revealed, is very "Unexpected". Once the initial panic is over, the confusion sets in, this is the time Big Brother steps in and you no longer have that cushy 100% freedom you treasure so Dearly. Well, get Used to it.
S. I Might also make the suggestion you study the JT Prophecies and how they fit in with what Malachy had said. Disbelief and Misinformation comes in the form of being "Vague" but to a "Point". For Example, to answer your question about Arafat and The Pope. Perhaps this Analogy would work best. Imagine if you will all of these large domino's being setup, all over the world. Interlinking countries, Dictators, Rulers, Presidents, Leaders. Arafat, Terri Schiavo, The Pope, are exactly like this, stand them up carefully and watch them all fall in succession. I Might add, the thing about Domino's is, you find it almost impossible to stop them once the chain reaction of events has started. All it needs is One Catalyst, One starting point, something to set it off. Or what I refer to as "The Twist".
Q. What's "the twist"? Is it religious, political, psychological, archaeological, or astronomical?
S. No, no, it is psychological in basis, no, no.
Q. Re: ["The twist"] is psychological in basis.... > Oh. Oh my. I do hope we can discuss that a bit more. > My research into the binary soul doctrine convinced me long ago that the prophesied "Judgment Day" scenario would primarily be and result in a psychological transformation and reorientation of the human species. Perhaps of a magnitude similar to that described by Julian Jaynes in his seminal book "The Origin of Consciousness in the Breakdown of the Bicameral Mind".
S. Of The Ultimate Magnitude. It is psychological in nature, and thus, unavoidable unless the society at a whole were capable of change. Which I assure you it is, it only takes one major setback before people are willing to Wake Up.
S. Please keep in mind, there is only one timeline, it is in constant flux. John Titor never mentioned the Twist that will leave many in the world shocked. John Titor also spoke of a Nuclear War, however he left out a lot of details and left open to interpretation many of the exact same details I would be required to leave open.
S. I know that nobody has guessed the twist because its one of the questions I have repeated and kept track of, the counter is still set at Zero and will be raised to 1 if someone emails me and knows the specific event I am referring to.
Q. Does Nostradamus discuss the Telluride Occurrence or the Twist? If so, where?
S. Here is one interpretation of a Nostradamus Quatraine. As you know, Nostradamus wrote in French so these are Translations/Interpretations.
"For seven days the great star will burn, The cloud shall make two suns to appear: The big mastiff will howl all night When the great pontiff changes country."
Q. You say that after the Twist, people will wonder greatly about our world, and will not see it the same way again. And you say that this evil person who acquires control over the collective unconscious will be a master of illusion who can alter our perception of reality. Are they related? Does this evil person directly cause the Twist?
S. Yes, they are related. Purposefully, Intently, Indirectly!
Q. Is the Twist the awaking of mankind's collective unconscious? Or does the awaking of the collective unconscious cause the Twist?
S. No, but wouldn't that have been a wonderful outcome. We didn't wake up until After we "Got It".
Q. You speak of a computer virus sweeping the globe in 24 hours. Is this related to the "Telluride
Occurrence"? Is this related to the "Twist"?
S. I Cannot answer this question.
Q. Is this the correct cause-and-effect sequence of events : the "Twist" comes first, which triggers the economic collapse, which triggers social chaos, which triggers the war ?
S. Good Question. More like in Reverse my friend. The War, triggers Social Chaos, which affects World Trade, which causes Economic Collapse and brings about the Twist in which you realize All that has been going on was but the Tip of the Iceberg. Are you familiar with this term? This is among the reasons why it cannot be guessed. It will have already occurred, Its existence in public form will be delayed.
S. The Crisis is the Catalyst, it is what leads up to the events. Certain chain reactions of events already set
into place. Even stopping one cannot stop the whole set of events which are cascading. The Twist, merely the point in which the General Public realizes they had been living with this set of circumstances, All Along.
Here is my own personal interpretation of those statements:
-- begin --
Starting from a PBE-relaxed structure, the powder X-ray diffraction pattern of Te2RhAu was simulated for Cu Kα (weighted mean of Kα1 and Kα2).

Cell and atoms:
Cell lengths 4.921, 5.179, 7.581 Å; angles 90.00, 90.00, 90.00 degrees
Space group Amm2 (No. 38)
Asymmetric unit:
1 Te 0.000 0.000 0.000 [2 per cell]
2 Te 0.500 0.000 0.469 [2 per cell]
3 Rh 0.000 0.000 0.630 [2 per cell]
4 Au 0.500 0.000 0.832 [2 per cell]

The 10 most intense peaks (15° ≤ 2θ ≤ 90°), in order of rising 2θ:
2θ/deg, I/Imax
20.8, 612
29.8, 572
34.6, 506
36.5, 438
42.4, 198
43.9, 1000
46.3, 341
51.2, 333
68.5, 251
70.9, 228

Starting from a PBE-relaxed structure, the powder X-ray diffraction pattern of Th8RhAu2 was simulated for Cu Kα (weighted mean of Kα1 and Kα2).

Cell and atoms:
Cell lengths 14.620, 7.079, 6.349 Å; angles 90.00, 96.29, 90.00 degrees
Space group C2/m (No. 12)
Asymmetric unit:
1 Th 0.090 0.244 0.338 [8 per cell]
2 Th 0.092 0.500 0.867 [4 per cell]
3 Th 0.182 0.000 0.866 [4 per cell]
4 Rh 0.000 0.000 0.000 [2 per cell]
5 Au 0.240 0.500 0.591 [4 per cell]

The 10 most intense peaks (15° ≤ 2θ ≤ 90°), in order of rising 2θ:
2θ/deg, I/Imax
28.0, 207
28.9, 224
29.6, 516
32.1, 1000
34.6, 230
34.9, 302
37.2, 359
50.5, 150
51.6, 177
60.5, 154

Starting from a PBE-relaxed structure, the powder X-ray diffraction pattern of Th4Rh2Au was simulated for Cu Kα (weighted mean of Kα1 and Kα2).

Cell and atoms:
Cell lengths 7.266, 7.266, 3.648 Å; angles 90.00, 90.00, 90.00 degrees
Space group P-42m (No. 111)
Asymmetric unit:
1 Th 0.222 0.222 0.222 [4 per cell]
2 Rh 0.000 0.500 0.500 [2 per cell]
3 Au 0.500 0.500 0.000 [1 per cell]

The 10 most intense peaks (15° ≤ 2θ ≤ 90°), in order of rising 2θ:
2θ/deg, I/Imax
24.5, 165
27.4, 208
30.0, 1000
34.9, 557
37.1, 316
46.7, 483
50.2, 162
56.4, 278
69.7, 142
78.9, 151

Starting from a PBE-relaxed structure, the powder X-ray diffraction pattern of YThRhAu was simulated for Cu Kα (weighted mean of Kα1 and Kα2).

Cell and atoms:
Cell lengths 4.153, 3.930, 11.813 Å; angles 90.00, 90.00, 90.00 degrees
Space group Amm2 (No. 38)
Asymmetric unit:
1 Y 0.000 0.000 0.000 [2 per cell]
2 Th 0.500 0.000 0.719 [2 per cell]
3 Rh 0.000 0.000 0.250 [2 per cell]
4 Au 0.500 0.000 0.435 [2 per cell]

The 10 most intense peaks (15° ≤ 2θ ≤ 90°), in order of rising 2θ:
2θ/deg, I/Imax
21.4, 158
30.3, 348
32.2, 1000
37.4, 207
39.0, 674
43.6, 203
46.2, 172
54.0, 147
65.4, 147
76.7, 187

~~~~~

1.
Na8B11C5: calculated X-ray diffraction stick pattern (copper Kα), based on a PBE-relaxed structure.

Top 8 peaks for 15 to 90 degrees two-theta, sorted by position:
- 35.73°, intensity 20
- 41.65°, intensity 100
- 41.89°, intensity 52
- 42.11°, intensity 39
- 64.55°, intensity 17
- 76.65°, intensity 13
- 79.47°, intensity 12
- 80.12°, intensity 22

Structural model:
```
data_Na8B11C5
_space_group_name_H-M_alt 'P 1'
_space_group_IT_number 1
_space_group_name_Hall 'P 1'
_cell_length_a 4.9888
_cell_length_b 5.8187
_cell_length_c 9.0611
_cell_angle_alpha 71.30
-- stop --
**End of the records of crystals:**
The Twist cannot be guessed, and Titor did not mention it. It is not a religious, political, archaeological, or astronomical event. It occurs during a chain reaction of world events that cascade one after another. The Twist comes at the end of a specific sequence : war triggers social chaos, which affects world trade, which causes economic collapse, and that brings about the Twist. However, although the Twist comes in the middle of a chain reaction of events, it itself is also a catalyst that sets off another chain of events all over the world, including and affecting interlinking countries, dictators, rulers, presidents, and leaders.
The Twist will leave the world shocked. The Twist is primarily psychological, and produces psychological changes of great magnitude in our culture. The Twist is a public realization or revelation about conditions or situations that have already occurred. When the Twist arrives, society will realize that all that has been going on was but the Tip of the Iceberg. The Twist is “merelyâ€the point in which the General Public realizes we have been living with this set of circumstances, all along. After the Twist, people wonder greatly about our world, and will never see it the same way again. This Twist will cause our culture to re-evaluate and revise our previous views on history. It will initially cause panic, and then confusion, and then a Big Brother police state takes over. The Twist is related to Titor’s Civil War, since Sara initially mentioned it in response to a question about the war.
One Nostradamus quatrain seems to describe the Twist :
"For seven days the great star will burn,
### Calculated crystals from another source follow
____________
Theoretical powder diffractogram of Ca11N8 for Cu Kα, 1.54184 Å, from a crystal structure in the Materials Project, relaxed with PBE.
Lines closer than 0.1° are merged.

Structural model:
abc: 13.949 13.949 3.659
angles: 90.00 90.00 90.00
Space group P4_2/mnm (No. 136)
Inequivalent atoms, fractional coordinates:
Ca (0.000, 0.000, 0.000) (multiplicity 2)
Ca (0.030, 0.211, 0.500) (multiplicity 8)
Ca (0.119, 0.622, 0.500) (multiplicity 8)
Ca (0.172, 0.828, 0.000) (multiplicity 4)
N (0.032, 0.692, 0.000) (multiplicity 8)
N (0.087, 0.913, 0.500) (multiplicity 4)
N (0.203, 0.203, 0.500) (multiplicity 4)

Principal peaks in the range 2θ from 5° to 70°, in order of rising 2θ:
2θ/deg, I_rel, (hkl)
30.42, 96.4, 2 2 1
32.74, 65.4, 5 1 0
33.72, 100.0, 3 2 1
36.44, 52.0, 4 4 0
36.75, 40.4, 3 3 1
49.84, 32.7, 0 0 2
52.72, 58.5, 7 1 1
63.27, 30.9, 4 4 2
____________
The cloud shall make two suns to appear:
The big mastiff will howl all night
When the great pontiff changes country."
The Entertainer who acquires control over the collective unconscious is purposefully and intently related to the Twist, but is not directly related to it.
Now, regarding the bit about
"it occurs during a chain reaction of social and political events that cascade one after another. The Twist comes at the end of a specific sequence : war triggers social chaos, which affects world trade, which causes economic collapse, and that brings about the Twist. The Twist occurs after, and as a direct consequence of, the economic collapse †,
War seems to start the event sequence that leads to the twist, but I don’t think this is either the Iraq or Afghanistan wars, because Zeshua uses the word “cascadeâ€, which I take to mean “in rapid successionâ€, as if the time between the start of the war and the arrival of the Twist is not very long at all. I find myself wondering if that war is the same “Middle East War†she has warned about starting before the end of this year, and if the expected Israeli attack on Iran is what will start this whole ball rolling."